== Contents ==
┌──
Density functional theory data (PBE+U) for a relaxed structure of FeP4C4O10.

## Properties
Uncorrected energy   -133.01 eV/f.u.
Density   2.0 g/cm³
Volume   1302.71 Å³/cell
Formation energy from the elements   -1348 meV/atom

Lattice parameters (Å, degrees): 13.130 9.500 13.643 49.96 90.00 90.00
Atoms (fractional coordinates):
1 P 0.914 0.183 0.733
2 P 0.893 0.912 0.322
3 P 0.107 0.088 0.678
4 P 0.414 0.817 0.767
5 P 0.586 0.183 0.233
6 P 0.919 0.882 0.723
7 P 0.419 0.118 0.777
8 P 0.482 0.836 0.439
9 P 0.518 0.164 0.561
10 P 0.018 0.836 0.939
11 P 0.607 0.912 0.822
12 P 0.086 0.817 0.267
13 P 0.581 0.882 0.223
14 P 0.393 0.088 0.178
15 P 0.081 0.118 0.277
16 P 0.982 0.164 0.061
17 O 0.529 0.022 0.849
18 O 0.306 0.294 0.362
19 O 0.741 0.478 0.461
20 O 0.476 0.239 0.160
21 O 0.029 0.978 0.651
22 O 0.363 0.938 0.800
23 O 0.547 0.760 0.376
24 O 0.241 0.522 0.039
25 O 0.052 0.977 0.117
26 O 0.885 0.062 0.164
27 O 0.694 0.706 0.638
28 O 0.220 0.858 0.559
29 O 0.448 0.977 0.617
30 O 0.524 0.761 0.840
31 O 0.953 0.760 0.876
32 O 0.509 0.410 0.826
33 O 0.948 0.023 0.883
34 O 0.137 0.938 0.300
35 O 0.971 0.022 0.349
36 O 0.720 0.142 0.941
37 O 0.453 0.240 0.624
38 O 0.780 0.142 0.441
39 O 0.491 0.590 0.174
40 O 0.115 0.938 0.836
41 O 0.552 0.023 0.383
42 O 0.637 0.062 0.200
43 O 0.385 0.938 0.336
44 O 0.280 0.858 0.059
45 O 0.194 0.294 0.862
46 O 0.991 0.410 0.326
47 O 0.976 0.761 0.340
48 O 0.806 0.706 0.138
49 O 0.759 0.478 0.961
50 O 0.047 0.240 0.124
51 O 0.009 0.590 0.674
52 O 0.615 0.062 0.664
53 O 0.259 0.522 0.539
54 O 0.471 0.978 0.151
55 O 0.863 0.062 0.700
56 O 0.024 0.239 0.660
57 C 0.065 0.484 0.319
58 C 0.259 0.754 0.658
59 C 0.273 0.552 0.948
60 C 0.744 0.589 0.659
61 C 0.256 0.411 0.341
62 C 0.741 0.246 0.342
63 C 0.227 0.552 0.448
64 C 0.759 0.246 0.842
65 C 0.435 0.484 0.819
66 C 0.727 0.448 0.052
67 C 0.244 0.411 0.841
68 C 0.756 0.589 0.159
69 C 0.565 0.516 0.181
70 C 0.773 0.448 0.552
71 C 0.241 0.754 0.158
72 C 0.935 0.516 0.681
73 Fe 0.321 0.594 0.809
74 Fe 0.821 0.406 0.691
75 Fe 0.179 0.594 0.309
76 Fe 0.679 0.406 0.191

=====

Record 1
Entry from the Materials Project database: NpSnAu2 after structural relaxation (PBE-GGA).

Structure (POSCAR):
```
NpSnAu2
1.0
0.000 3.558 3.558
3.558 0.000 3.558
3.558 3.558 0.000
Np Sn Au
1 1 2
direct
0.000 0.000 0.000 Np
0.500 0.500 0.500 Sn
0.250 0.250 0.250 Au
0.750 0.750 0.750 Au
```

Summary:
Calculated volume   22.52 Å³ per atom

Record 2
Entry from the Materials Project database: ThSiRh after structural relaxation (PBE-GGA).

Structure (POSCAR):
```
ThSiRh
1.0
-1.994 2.030 7.729
1.994 -2.030 7.729
1.994 2.030 -7.729
Th Si Rh
2 2 2
direct
0.372 0.122 0.250 Th
0.628 0.878 0.750 Th
0.040 0.290 0.750 Si
0.960 0.710 0.250 Si
0.192 0.442 0.750 Rh
0.808 0.558 0.250 Rh
```

Summary:
Magnetic moment   0.00 μB/cell
Calculated volume   20.86 Å³ per atom

Record 3
Entry from the Materials Project database: ScGeRh after structural relaxation (PBE-GGA).

Structure (POSCAR):
```
ScGeRh
1.0
6.735 0.000 0.000
-3.368 5.833 0.000
0.000 0.000 3.833
Sc Ge Rh
3 3 3
direct
0.000 0.418 0.000 Sc
0.418 0.000 0.000 Sc
0.582 0.582 0.000 Sc
0.000 0.000 0.000 Ge
0.333 0.667 0.500 Ge
0.667 0.333 0.500 Ge
0.000 0.754 0.500 Rh
0.246 0.246 0.500 Rh
0.754 0.000 0.500 Rh
```

Summary:
Calculated volume   16.73 Å³ per atom

Record 4
Entry from the Materials Project database: TmH3O3 after structural relaxation (PBE-GGA).

Structure (POSCAR):
```
TmH3O3
1.0
6.269 0.000 0.000
0.000 3.432 0.000
-2.930 0.000 5.616
Tm H O
2 6 6
direct
0.156 0.250 0.322 Tm
0.844 0.750 0.678 Tm
0.228 0.250 0.858 H
0.361 0.750 0.689 H
0.364 0.750 0.136 H
0.636 0.250 0.864 H
0.639 0.250 0.311 H
0.772 0.750 0.142 H
0.106 0.250 0.913 O
0.186 0.750 0.590 O
0.406 0.750 0.304 O
0.594 0.250 0.696 O
0.814 0.250 0.410 O
0.894 0.750 0.087 O
```

Summary:
Magnetic moment   0.00 μB/cell
ΔE to the lowest computed polymorph   0.005 eV per atom
E (MP2020)   -0.4752 Ry/atom
Calculated volume   8.63 Å³ per atom

Record 5
└──

== Job ==
Now quote every line further above that contains the word "Magnetic".

== Written answer ==
Magnetic moment   0.00 μB/cell
Magnetic moment   0.00 μB/cell